Massachusetts State Parks

Massachusetts State Parks

If you are a Facebook user you may have seen advertisements for Nature Adventure books. When they first came out with them I ordered a couple. I ordered National Parks, Massachusetts State Parks and New England Lighthouses. I figure that the Massachusetts State Parks and The New England Lighthouses would give me plenty to do and I’d have the National Parks for when I travel out of state. COVID and personal health reasons made a major dent in my travel the last 2 years but it’s time to think about getting out and about again.

Oh The Possibilities

I pulled out the Massachusetts State Park Adventure Book and there are 305 parks listed. They aren’t just state parks, there are Reservations, Historic Sites, beaches, State Forests, and  Management Areas. So as a first step I decided to go through the list and see how many I’ve been to already. After all, this is the state where I’ve lived pretty much all of my adult life and I’ve always done a lot of exploring. I must have been to some of the places on the list! 

Bash Bish Falls State Park

The first one on the list that I spotted was Bash Bish Falls State Park. Of course I always mess it up and call it Bish Bash Falls. That just sounds better to me! I made the trek to Bash Bish Falls in June of 2017. Bash Bish Falls is located in the western part of Massachusetts on the New York state border. Located in the Town of Mount Washington it is also part of Mount Washington State Forest. 

You can choose to make the hike easy or hard. The trail head in MA is steep and rugged. Probably not too bad going down, if you’re careful, but I sure didn’t want to have to make my way back up at the end of the day so I went into New York and used the New York trail head to get to the falls. It may  be a little longer but it’s a gradual incline and it’s downhill going back. 

Bash Bish Falls is the highest waterfall in Massachusetts. The dramatic final pitch of Bash Bish Brook drops about 80 feet into an emerald plunge pool. It’s an enjoyable hike to experience the wonder and beauty of this deep, verdant gorge.

If You Go

  • From Massachusetts Parking Lot: Difficult ability, about 0.6 miles round-trip. Shorter, more rugged, and strenuous.
  • From New York Parking Lot: Moderate ability, about 1.5 miles round-trip. Longer and gradual, but rocky and uneven.
  • Nearby, Taconic State Park in New York state offers more visitor amenities, picnicking, swimming, and camping.

The Wild Center

The Wild Center, Tupper Lake NY

The Wild Center, formerly known as the Natural History Museum of the Adirondacks, creates an environment that lets you immerse yourself in nature. What do the eagles see? What would it be like to live in a spider’s web? On one of our aborted trips to Whiteface Mountain we detoured to the Wild Center. I’d heard about it from my sister and also read several articles in Adirondack Life magazine but I really couldn’t get my head around what it was. So what’s the best way to find out? Go there for myself.

A Walk On The Wild Side

The Wild Center gives new meaning to a walk on the wild side. Well maintained boardwalks wound through the forest and trees. My knees were not cooperating the day we were there. My limited mobility as I’ve gotten older continues to be a major frustration for me. On the board walks I was fine but when we left the boardwalk for the trail it got harder and soon I was parked on a bench watching families pass by to the river. Still I was able to enjoy enough to see what all the buzz was about. 

The Eagles Nest

One of the stops on the board walk that I heard mentioned over and over again was the Eagle Nest. I couldn’t imagine it but once I saw it I was hooked. A short climb up a series of stairs and you step into the world of the Eagle. Standing in the nest you look out over the tree tops just like an eagle would. There are panoramic views in all directions.

The Spider’s Lair

Nearby a rope spider web was stretched over a large hole in the board walk inviting the adventurous and non mobility challenged to test it out. A family was rolling around laughing a struggling to climb back up while we were there. Oh to be young again. I would have tried it in a heartbeat but I was pretty sure that if I got in I’d never get out now.  Just watching those teenagers convinced me my assessment was correct.

The Wild Walk

Wild Walk takes visitors up a trail of bridges to the treetops of the Adirondack forest. That was really tempting but once again caution limited what I was willing to try. The suspended bridges and the climb up the inside of the huge tree truck look like tons of fun. It made me think of the Swiss Family Robinson attraction at Disney. Lots of swaying walk ways suspended in the trees. 

Handicap Accessible

You may think from my comments on what I skipped that this is only for the young and fit but that’s not entirely true. The board walk is so wide and well maintained that you can easily navigate those sections with a wheel chair. On a nice day there is no better way to get out in nature and enjoy the beautiful Adirondack breezes. 


Ports of Call

Ports of Call on our Alaska Itinerary

If Vancouver is the first port of call, then we have 4 additional stops on our journey to the Big Land. There’s Ketchikan, Juneau, Skagway and Anchorage. Three other locations of interest, although not ports, were Glacier Bay, Prince Williams Sound and College Fjord.

Port of Call, Ketchikan

It was raining in Ketchikan as we embarked on our shore excursion to Saxman Native Village. Here we witnessed a Native  American Ceremonial Dance and watched experienced totem pole builders carve their next creation. We learned that being on the bottom of the totem pole is not necessarily a bad thing! It’s the most honored position. We spotted out first bald eagle too.




Then there was Juneau

Juneau is the capital of Alaska but conducting business can be a challenge. There are no roads. Juneau can only be accessed by boat or plane! I have fond memories of Juneau. Although it was cold and still raining off and on, we did get a glimpse of blue sky. We took a very chilly boat ride looking for whales but the Stellar Sea Lions were the stars of the day. We saw a lot more Bald Eagles too!

While in Juneau we also hiked up to Mendenhall Glacier. It was an easy walk and the the glacier is beautiful. It’s well worth the hike.

Skagway, Alaska

Skagway, Gateway to the Yukon! Our excursion in Skagway was the White Pass and Yukon Railway. Seated in vintage train cars we followed in the steps of the Klondike Gold Miners. We were allowed to stand on the platforms between cars so we could look down into deep mountain gullies as we crossed trestle bridges and clung to the side of mountains. It was still raining and cold and it got colder the higher the train climbed.

At the end of the line a bus was waiting to take us across the Canadian border in the Yukon territory.

_Between two parts of the text: crystal structures_
********
[1]
For Ac2ScZnO6, a cell relaxed with GGA-PBE gives the simulated X-ray diffraction stick pattern in this record (Cu Kα, 1.54184 Å).
Lines closer than 0.1° are merged.

Most intense lines, 10 to 90 degrees two-theta, by intensity:
hkl 1 1 -3, 2θ 30.83, 2.900 Å, rel. 100
hkl 1 1 -1, 2θ 21.62, 4.111 Å, rel. 28
hkl 3 1 -5, 2θ 54.86, 1.674 Å, rel. 22
hkl 3 1 -1, 2θ 54.70, 1.678 Å, rel. 21
hkl 2 2 -2, 2θ 44.06, 2.055 Å, rel. 19
hkl 2 0 0, 2θ 37.94, 2.371 Å, rel. 19
hkl 0 2 0, 2θ 30.71, 2.912 Å, rel. 18
hkl 0 0 2, 2θ 21.73, 4.090 Å, rel. 15
hkl 0 0 4, 2θ 44.29, 2.045 Å, rel. 11
hkl 4 0 -4, 2θ 64.18, 1.451 Å, rel. 9

Cell and atoms:
Cell lengths 5.804, 5.823, 10.017 Å; angles 90.00, 125.25, 90.00 degrees
Space group P2_1/c (No. 14)
Symmetry-distinct sites (fractional):
Ac1 0.241 0.035 0.249 (multiplicity 4)
Sc1 0.500 0.000 0.000 (multiplicity 2)
Zn1 0.000 0.000 0.500 (multiplicity 2)
O1 0.175 0.214 0.958 (multiplicity 4)
O2 0.243 0.716 0.958 (multiplicity 4)
O3 0.327 0.020 0.750 (multiplicity 4)

[2]
For AcSeO, a cell relaxed with GGA-PBE gives the simulated X-ray diffraction stick pattern in this record (Cu Kα, 1.54184 Å).
Lines closer than 0.1° are merged.

Most intense lines, 10 to 90 degrees two-theta, by intensity:
hkl 1 0 3, 2θ 26.60, 3.351 Å, rel. 100
hkl 1 1 0, 2θ 29.54, 3.024 Å, rel. 56
hkl 2 1 3, 2θ 50.65, 1.802 Å, rel. 36
hkl 1 0 5, 2θ 34.77, 2.580 Å, rel. 32
hkl 2 0 0, 2θ 42.27, 2.138 Å, rel. 27
hkl 0 0 2, 2θ 10.94, 8.089 Å, rel. 27
hkl 2 1 5, 2θ 55.84, 1.646 Å, rel. 17
hkl 1 1 4, 2θ 37.12, 2.422 Å, rel. 13
hkl 1 1 8, 2θ 54.60, 1.681 Å, rel. 13
hkl 1 1 6, 2θ 45.05, 2.012 Å, rel. 12

Cell and atoms:
Cell lengths 4.276, 4.276, 16.178 Å; angles 90.00, 90.00, 90.00 degrees
Space group I4/mmm (No. 139)
Symmetry-distinct sites (fractional):
Ac1 0.000 0.000 0.170 (multiplicity 4)
Se1 0.000 0.000 0.426 (multiplicity 4)
O1 0.000 0.500 0.250 (multiplicity 4)

[3]
For Ac4Se5O, a cell relaxed with GGA-PBE gives the simulated X-ray diffraction stick pattern in this record (Cu Kα, 1.54184 Å).
Lines closer than 0.1° are merged.

Most intense lines, 10 to 90 degrees two-theta, by intensity:
hkl 1 1 2, 2θ 25.66, 3.472 Å, rel. 100
hkl 1 2 1, 2θ 30.98, 2.886 Å, rel. 97
hkl 1 2 5, 2θ 38.78, 2.322 Å, rel. 88
hkl 0 0 4, 2θ 18.52, 4.790 Å, rel. 62
hkl 0 2 2, 2θ 23.76, 3.745 Å, rel. 54
hkl 1 0 7, 2θ 39.31, 2.292 Å, rel. 44
hkl 0 2 6, 2θ 35.75, 2.512 Å, rel. 38
hkl 1 0 1, 2θ 21.70, 4.095 Å, rel. 37
hkl 2 2 6, 2θ 57.26, 1.609 Å, rel. 29
hkl 2 0 0, 2θ 43.16, 2.096 Å, rel. 29

Cell and atoms:
Cell lengths 4.192, 8.137, 19.159 Å; angles 90.00, 90.00, 90.00 degrees
Space group Immm (No. 71)
Symmetry-distinct sites (fractional):
Ac1 0.000 0.000 0.220 (multiplicity 4)
Ac2 0.000 0.280 0.500 (multiplicity 4)
Se1 0.000 0.258 0.339 (multiplicity 8)
Se2 0.000 0.500 0.000 (multiplicity 2)
O1 0.000 0.000 0.000 (multiplicity 2)

[4]
For AcSeO5, a cell relaxed with GGA-PBE gives the simulated X-ray diffraction stick pattern in this record (Cu Kα, 1.54184 Å).
********

One More Waterfall

Lower Falls Yellowstone River

I’ve got one more Waterfall on my list of stops for this day.  Lower Falls on the Yellowstone River is known as the Grand Canyon of the Yellowstone. I need to warn you, I didn’t fall in or get chased down to the bottom by a bear , or go over them in a barrel. I’ve noticed that I get far more “likes” when something scary happens to me. Unfortunately this will be disappointing for my thrill seeking readers. Its just an absolutely beautiful waterfall.

Lower Yellowstone Falls

Norris to Canyon Junction

I’m saving Norris Basin for my next Yellowstone trip so as my friends in the white Navigator turned left I continued on toward Canyon Village. There were a few more critter jams. The bison were taking their time crossing the road. At one critter jam the wait was over 20 minutes. I couldn’t see what was going on but once we started moving it was apparent. It was a huge herd of bison.  At Canyon Junction I made a right and soon spotted the parking area for the Lower Falls. A boardwalk leads out to a platform known as Lookout Point.

Lower Falls on the Yellowstone River

Red Rock Point

I really need to get over my back injury because on my next trip the trail to Red Rock Point is on my bucket list. The trail is only about a mile round trip but it’s steep! And I mean very steep! The bottom of this trail is consider the best place to experience the Lower falls and to get the best photos. Sadly,  I definitely wasn’t up to that hike this trip.

Red Rock Point

Inspiration Point and The Upper Falls

Another reason to return is that I didn’t see the upper falls at all. The road to Inspiration Point was closed and I wasn’t even aware that there was a side road called North Rim Drive. From what I’ve heard since my trip this allows for close views of the upper falls. Lower falls is the more spectacular if you base this assumption on size alone.  The Upper falls drops 109 ft. Pretty impressive by eastern standards but Lower falls drops 308 ft! Yes, I definitely want to explore this area more next trip.

Lower falls throws up spray

Midway Geyser Basin

Crossing the Firehole RiverThe Moonscape that is Midway Geyser Basin

Midway Geyser Basin is my next stop on the lower loop road. You can see the stream rising in huge clouds as you approach. There’s a large parking area and even now, in the off season, it’s pretty full. Its hard to imagine what it would be like at the height of the tourist season. A solid wooden bridge crosses the Firehole River. Steaming, boiling water flows down the bank into the off into Firehole river

Huge billowing clouds of steam blow across the bridge and walkways.


Excelsior Geyser Crater

Boardwalk zigs and zagsExcelsior GeyserExcelsior Geyser Crater










The Boardwalk crosses the Firehole River before zig-zaging first to the right then back to the left always climbing upward. The first hot spring we pass is the Excelsior Geyser Crater. Its the water from this crater that is flowing into the Firehole River. Dumping 4000-4500 gallons of boiling water per minute into the river its not surprising that there are always clouds of steam. Excelsior Geyser used to erupt in a powerful plume from 100-300 ft high but after some particularity powerful eruptions it subsided to the simmering hot spring that it is today. Scientists speculate that those powerful eruptions damaged the internal plumbing ending the  more spectacular thermal displays.


Grand Prismatic Spring SignGrand Prismatic Spring

Bacterial matt at Grand prismatic

Orange algae and bacteria float on the Grand Prismatic Spring

Grand Prismatic Spring is the largest hot spring in the United States and the third largest in the world. The vivid colors in the spring are the result of microbial mats around the edges of the mineral-rich water.


The mats produce colors ranging from green to red. In the summer, the mats tend to be orange and red, whereas in the winter the mats are usually dark green. The center of the pool is sterile due to extreme heat. The deep blue color of the water in the center of the pool results from the intrinsic blue color of the water. The effect is strongest in the center of the spring, because of its sterility and depth. Usually the photos you see in magazines are taken from above.

From the boadwalk

The View From Above

Fairy Falls

Unattributed photo from the internet.

Most photos of the Grand Prismatic Spring are taken looking down. Many are aerial views taken from airplanes or maybe a helicopter. There is also a trail that leads from the Grand Prismatic Spring to Fairy Falls. Along the way there are 2 other geysers and a lookout above the hot spring. The trail is only .5 miles but it climbs 105 ft. I’ve added this hike to my bucket list. For now it was time to leave the clouds and steam of Midway behind and turn for home. 

Aerial view Grand Prismatic Spring

Unattributed photo from the internet. I wish I could have taken this one.